The time is ten years before the start of the Naruto series. Imagine Konoha under a different rule. Imagine a Konoha where the Uchiha massacre had never happened. Imagine what would be different. This Konoha is a military dictatorship where only boys and men are shinobi.

Konoha’s future is hanging by a thread. The assassination of the great Third Hokage astounded the council members. The only evidence that he had been killed was his cold, lifeless body. The killer is keeping himself hidden. The council members had all agreed that the best candidate for Hokage was Fugaku Uchiha-a decision that wasn’t well supported. Rumors have been spreading about the council being bribed.

As soon as he was officially Hokage, Fugaku’s first order had been to rid the shinobi task force of women and girls, believing them to be unfit for duty. At this, all kunoichi in the village had been outraged. But one took her complaint farther than any other: young Ashurii Mitsuki of ANBU squad 3, whose leader was none other than Uchiha Itachi. She took her complaint straight to Fugaku himself, who was then working on his second goal: to find a suitable wife for Itachi.

As she was shouting at him and destroying his office, he somehow got the idea that she was the one. So he had an ANBU squad track her until she was vulnerable enough to be captured. Fugaku’s third goal was to destroy the Land of Waves. He held a grudge against them because one of his teammates had died there, years in the past. Needless to say, the demolition of the small, shinobi-less village was done quite easily.

### Misplaced crystal structures
-- begin --
Entry 1:
For K2ZrO3, a cell relaxed with GGA-PBE gives the calculated PXRD pattern in this record (Cu Kα (weighted mean of Kα1 and Kα2)).

Structure:
Cell: 5.9510 10.6094 7.0747 Å, 90.00 90.00 90.00°
Space group Pnma (No. 62)
Unique sites:
K  0.2354  0.0857  0.1147 (multiplicity 8)
Zr  0.2204  0.7500  0.1591 (multiplicity 4)
O  0.0169  0.1216  0.7296 (multiplicity 8)
O  0.1584  0.7500  0.8906 (multiplicity 4)

Largest 6 diffraction maxima, most intense first, 10° ≤ 2θ ≤ 80°:
hkl 1 3 1, 32.04 deg, I = 1000; hkl 1 0 2, 29.37 deg, I = 983; hkl 0 1 1, 15.05 deg, I = 876; hkl 2 3 1, 41.67 deg, I = 664; hkl 0 3 1, 28.21 deg, I = 438; hkl 0 2 0, 16.71 deg, I = 420

Entry 2:
For Ca2AlSbO5, a cell relaxed with GGA-PBE gives the calculated PXRD pattern in this record (Cu Kα (weighted mean of Kα1 and Kα2)).

Structure:
Cell: 15.9043 6.0256 5.5350 Å, 90.00 106.04 90.00°
Space group Cc (No. 9)
Unique sites:
Ca  0.0000  0.2151  0.0000 (multiplicity 4)
Ca  0.2546  0.2746  0.2432 (multiplicity 4)
Al  0.3742  0.1801  0.8730 (multiplicity 4)
Sb  0.1394  0.2363  0.6339 (multiplicity 4)
O  0.1221  0.4002  0.2889 (multiplicity 4)
O  0.1972  0.0023  0.4694 (multiplicity 4)
O  0.2717  0.3360  0.7812 (multiplicity 4)
O  0.3875  0.0730  0.1945 (multiplicity 4)
O  0.4509  0.3721  0.8287 (multiplicity 4)

Largest 6 diffraction maxima, most intense first, 10° ≤ 2θ ≤ 80°:
hkl 3 1 1, 31.21 deg, I = 1000; hkl 2 0 0, 11.58 deg, I = 962; hkl 5 1 -1, 33.02 deg, I = 764; hkl 2 2 -2, 44.52 deg, I = 521; hkl 0 2 0, 29.65 deg, I = 480; hkl 2 0 -2, 32.44 deg, I = 473

> What is the formula in the second record?

Ca2AlSbO5

> What is the formula in the second record?

Ca2AlSbO5

> What is the formula in the second record?

Ca2AlSbO5

~~~~~

# 1
Starting from the PBE geometry in Alexandria, the powder XRD pattern of Pm5Sm2Cd was calculated for Cu Kα (weighted mean of Kα1 and Kα2).
Intensities are scaled so that the largest is 100.

a b c (Å): 5.1821 17.6780 6.3256
angles (deg): 90.00 114.14 90.00
Space group P2_1/m (No. 11)
Inequivalent atoms, fractional coordinates:
Pm1 0.0348 0.2500 0.0721 x2
Pm2 0.2559 0.6517 0.5116 x4
Pm3 0.4479 0.0946 0.8967 x4
Sm1 0.1480 0.0387 0.2951 x4
Cd1 0.3194 0.2500 0.6390 x2

Main lines, in order of rising 2θ (10 to 90 degrees two-theta):
hkl	two_theta	I (rel.)
1 4 0	27.6	52
1 1 -2	29.3	58
1 2 1	30.7	72
1 5 -1	31.6	100
0 2 2	32.7	35
0 6 1	34.2	25
2 0 -1	34.6	91
2 6 0	49.4	18
2 3 1	49.8	24
1 7 -3	56.9	22

---

# 2
Starting from the PBE geometry in Alexandria, the powder XRD pattern of Pm7Se4S4 was calculated for Cu Kα (weighted mean of Kα1 and Kα2).
Intensities are scaled so that the largest is 100.

a b c (Å): 14.5982 14.5982 6.9993
angles (deg): 90.00 90.00 90.00
Space group I4/mmm (No. 139)
Inequivalent atoms, fractional coordinates:
Pm1 0.0000 0.0000 0.2485 x4
-- stop --
### The text goes on

Now we come to Fugaku’s fourth and final goal: to conquer the world. Most of the shinobi of Konoha have been brainwashed into believing his lies, that conquering the whole shinobi world would unite the countries and lead to peace, though some still have their own state of mind. Those few have gone into hiding, taking only the people closest to them, setting up a small camp on Konoha’s borders where no one can find them.

Someone pasted materials data at this point
........
# Rb2PuHgSe4
Calculated powder XRD pattern, Cu Kα. Input: a DFT-relaxed cell (PBE, Alexandria).
Lines closer than 0.1° are merged.

Cell and atoms:
```
data_Rb2PuHgSe4
_symmetry_space_group_name_H-M 'I -4 2 m'
_symmetry_Int_Tables_number 121
_symmetry_space_group_name_Hall 'I -4 2'
_cell_length_a 8.432
_cell_length_b 8.432
_cell_length_c 7.323
_cell_angle_alpha 90.00
_cell_angle_beta 90.00
_cell_angle_gamma 90.00
loop_
_atom_site_label
_atom_site_fract_x
_atom_site_fract_y
_atom_site_fract_z
_atom_site_occupancy
Rb1 0.000 0.500 0.000 1
Pu1 0.000 0.000 0.000 1
Hg1 0.000 0.000 0.500 1
Se1 0.171 0.171 0.252 1
```

Principal peaks in the range 2θ from 15° to 90°, in order of rising 2θ:
Position (°2θ)	I (rel.)	hkl
21.07	43.4	2 0 0
26.59	31.1	2 1 1
29.97	49.4	2 2 0
32.39	100.0	2 0 2
38.96	26.1	2 2 2
41.91	27.8	3 1 2
48.27	24.7	4 2 0
49.92	26.3	4 0 2
54.76	21.7	4 2 2
87.56	19.8	6 0 4


The following is a computed powder diffraction line list of Co2NiO6. It was derived from DFT lattice parameters and positions (GGA+U), using Cu Ka.
Intensities are scaled so that the largest is 100.

Structural model:
abc: 8.4839 4.8918 9.7637
angles: 90.00 90.00 90.00
Space group Cmce (No. 64)
Asymmetric unit:
Co  0.1666  0.0000  0.0000 (multiplicity 8)
Ni  0.0000  0.0000  0.5000 (multiplicity 4)
O  0.0000  0.1678  0.0963 (multiplicity 8)
O  0.1660  0.1659  0.4035 (multiplicity 16)

Peak list (10 most intense, 2θ = 10–90°, in order of rising 2θ)
| d_spacing | I (rel.) | hkl |
| --- | --- | --- |
| 4.882 | 100.0 | 0 0 2 |
| 2.444 | 10.3 | 0 2 0 |
| 2.375 | 27.0 | 3 1 1 |
| 2.187 | 18.8 | 0 2 2 |
| 1.956 | 27.1 | 3 1 3 |
| 1.728 | 11.2 | 0 2 4 |
| 1.527 | 14.0 | 3 1 5 |
| 1.398 | 12.4 | 3 3 1 |
| 1.212 | 5.1 | 3 1 7 |
| 1.094 | 5.9 | 6 2 4 |


Entry 1:
This entry pairs a crystal structure of Na2GeS3 with its simulated powder X-ray diffraction pattern. Radiation: λ = 1.5418 Å (Cu Kα). Structure: a DFT-relaxed cell (GGA-PBE, the Materials Project).
Intensities are scaled so that the largest is 100.

Main lines, in order of rising 2θ (2θ from 10° to 90°):
| h k l | 2θ/deg | d/Å | I (rel.) |
| --- | --- | --- | --- |
| 0 2 0 | 11.33 | 7.808 | 48 |
| 1 0 0 | 13.89 | 6.378 | 100 |
| 0 2 1 | 20.04 | 4.430 | 39 |
| 1 2 -1 | 20.28 | 4.378 | 53 |
| 0 3 1 | 23.78 | 3.741 | 26 |
| 2 2 0 | 30.28 | 2.952 | 52 |
| 1 0 -2 | 30.45 | 2.936 | 86 |
| 1 3 1 | 30.92 | 2.892 | 32 |
| 1 5 0 | 31.91 | 2.805 | 34 |
| 0 6 0 | 34.46 | 2.603 | 26 |
| 1 5 1 | 38.73 | 2.325 | 25 |
| 3 2 -2 | 43.95 | 2.060 | 24 |

Cell and atoms:
```
data_Na2GeS3
_chemical_formula_sum 'Na8 Ge4 S12'
_space_group_name_H-M_alt 'P 1 21/c 1'
_space_group_IT_number 14
_space_group_name_Hall '-P 2ybc'
_cell_length_a 6.9617
_cell_length_b 15.6153
_cell_length_c 5.8734
_cell_angle_alpha 90.00
_cell_angle_beta 113.64
_cell_angle_gamma 90.00
loop_
_atom_site_label
_atom_site_fract_x
_atom_site_fract_y
_atom_site_fract_z
_atom_site_occupancy
Na1 0.0489 0.1683 0.0169 1
Na2 0.2845 0.5304 0.1640 1
Ge1 0.4501 0.1715 0.6506 1
........

Ten years in the future, at the start of the Naruto series, we see a different beginning. The families who had gone in to hiding a decade ago were reemerging, bringing with them a new generation of shinobi. Itachi and Ashurii are formulating a plan to stop Fugaku once and for all. The turmoil in the village and out is throwing Konoha out of balance, and Fugaku’s plan may mean the end of Konoha. Forever.

**Inserted here: data records**
Starting from a GGA-PBE-relaxed structure, the powder diffraction line list of SmEr4Tm8 was simulated for Cu Kα X-rays.
Kinematic intensities with the Lorentz-polarization factor, no thermal factor.

Structural model:
a b c (Å): 9.8187 9.8187 9.8187
angles (deg): 43.01 43.01 43.01
Sites, in units of the cell vectors:
Sm 0.0000 0.0000 0.0000
Er 0.0000 0.0000 0.5000
Er 0.0000 0.5000 0.0000
Er 0.5000 0.0000 0.0000
Er 0.5000 0.5000 0.5000
Tm 0.2504 0.2504 0.6937
Tm 0.2504 0.6937 0.2504
Tm 0.2820 0.2820 0.2820
Tm 0.3063 0.7496 0.7496
Tm 0.6937 0.2504 0.2504
Tm 0.7180 0.7180 0.7180
Tm 0.7496 0.3063 0.7496
Tm 0.7496 0.7496 0.3063

Peak list (10 most intense, 2θ = 10–90°, by intensity)
- 2θ 31.68, rel. 100
- 2θ 33.29, rel. 42
- 2θ 30.14, rel. 31
- 2θ 50.73, rel. 30

Will you help the few remaining free-minded shinobi in foiling Fugaku’s nefarious plans, or will you aid him in their fruition? The choice is yours.